Sales and earnings development
Development of group sales by region
At €12.0 billion, reported sales in Germany were 2.6% lower than in the previous year. Like-for-like sales decreased by 1.7%. Following a difficult first half of the year during which sales at METRO Wholesale and Real declined considerably, the trend improved significantly during the second half of the year.
The reported sales in the international business increased by 3.7% to €25.2 billion. This is especially due to the opening of new stores and the acquisition of Pro à Pro. Currency effects also played a part. International sales rose by 3.0% in local currency. Like-for-like sales increased by 1.6%. The international share of total sales stood at 67.8% (2015/16: 66.4%).
The reported sales in Western Europe (excl. Germany) increased by 3.6% to €10.5 billion. This is especially due to the acquisition of Pro à Pro. Like-for-like sales decreased slightly by 0.3%.
The reported sales in Eastern Europe increased by 4.5% to €10.3 billion. Especially positive currency effects in Russia influenced this development. Particularly positive sales trends were recorded in Turkey. Sales rose by 1.8% in local currency. Like-for-like sales increased by 2.3%.
The reported sales in Asia increased by 2.3%. All countries contributed to this positive development. Sales rose by as much as 4.2% in local currency. Like-for-like sales climbed by 4.7%.
Change in % compared with the previous year’s period |
2015/16 |
2016/17 |
in group currency (€) |
Currency effects in percentage points1 |
in local currency |
Like-for-like sales in local currency |
METRO Wholesale |
29,000 |
29,866 |
3.0 |
0.7 |
2.3 |
0.9 |
Real |
7,478 |
7,247 |
−3.1 |
0.0 |
−3.1 |
−1.0 |
Others |
72 |
27 |
−62.4 |
−0.3 |
−62.1 |
– |
36,549 |
37,140 |
1.6 |
0.5 |
1.1 |
0.5 |
thereof Germany |
12,279 |
11,962 |
−2.6 |
0.0 |
−2.6 |
−1.7 |
thereof international |
24,270 |
25,177 |
3.7 |
0.8 |
3.0 |
1.6 |
Western Europe (excl. Germany) |
10,173 |
10,543 |
3.6 |
0.0 |
3.6 |
−0.3 |
Eastern Europe |
9,828 |
10,266 |
4.5 |
2.7 |
1.8 |
2.3 |
Asia |
4,269 |
4,368 |
2.3 |
−1.9 |
4.2 |
4.7 |
The reconciliation from reported sales to like-for-like sales in local currency is shown in the following:
€ million |
2015/16 |
2016/17 |
Total sales in € (as reported) |
36,549 |
37,140 |
Total sales in local currency1 |
36,735 |
Here the piece breaks off for calculated crystals.
-- begin --
Entry 1:
Computed, not measured: a relaxed PmZn6Cd2 crystal at the PBE level of DFT.

extended XYZ file:
```
9
Lattice="-1.7619 0.1861 2.7015 -6.5595 -1.6772 -4.1625 4.2868 -5.8777 3.2006" Properties=species:S:1:pos:R:3 pbc="T T T"
Zn -1.6503 -2.4644 1.0251
Zn 1.9547 -3.7950 3.4679
Cd -4.7060 -2.8913 0.9933
Zn -2.3843 -4.9044 0.7145
Cd 0.6713 -4.4775 0.7462
Zn 0.5702 -1.8966 2.4342
Pm 4.2868 -5.8777 3.2006
Zn -0.9332 -6.8941 1.7979
Zn -3.1014 -0.4747 -0.0583
```

---

Entry 2:
Computed, not measured: a relaxed PmZnCd4 crystal at the PBE level of DFT.

extended XYZ file:
```
6
Lattice="-3.4764 4.7404 -0.2819 -4.1032 0.3943 -4.2004 -5.6985 -0.4424 1.4023" Properties=species:S:1:pos:R:3 pbc="T T T"
Pm -3.3195 1.1731 -0.7700
Cd -8.2957 2.9316 -1.9243
Zn 0.0000 0.0000 0.0000
Cd -5.4518 3.1524 -2.6241
Cd -6.5608 0.5659 -1.7836
Cd -6.2479 2.7348 0.1720
```

## Properties
Polymorph energy (0 for the lowest one): 18.3 kJ/mol of atoms

---

Entry 3:
Computed, not measured: a relaxed Pm3Zn2Cd4 crystal at the PBE level of DFT.

extended XYZ file:
```
9
Lattice="4.9181 0.0000 0.0000 -2.4590 5.4550 -0.6503 0.0000 -3.3223 8.5404" Properties=species:S:1:pos:R:3 pbc="T T T"
Cd 0.0000 -0.0566 7.6738
Zn 0.0000 1.8771 5.6692
Pm 2.4590 -0.3781 5.4389
Cd 0.0000 -0.6651 3.2056
Cd 2.4590 2.1893 0.2164
Cd 2.4590 2.7978 4.6846
Pm 0.0000 0.0000 0.0000
Pm 0.0000 2.5108 2.4513
Zn 2.4590 0.2557 2.2209
```

---

Entry 4:
Computed, not measured: a relaxed PmZnCd5 crystal at the PBE level of DFT.

extended XYZ file:
```
7
Lattice="4.7568 0.0000 0.0000 0.0000 4.7568 0.0000 0.0000 0.0000 7.3592" Properties=species:S:1:pos:R:3 pbc="T T T"
Pm 0.0000 0.0000 0.0000
Cd 0.0000 2.3784 5.1827
Cd 0.0000 2.3784 2.1765
Cd 2.3784 2.3784 0.0000
Zn 0.0000 0.0000 3.6796
Cd 2.3784 0.0000 2.1765
Cd 2.3784 0.0000 5.1827
```

---

Formation energy readings, ordered: -0.031; -0.017; -0.325; -0.181 eV/atom
-- stop --
37,140 |
Sales of stores that were not part of the like-for-like panel in 2016/172 |
2,356 |
2,584 |
Like-for-like sales in local currency |
34,378 |
34,555 |
Group sales of METRO 2016/17
by regions

€ million |
2015/16 |
2016/17 |
METRO Wholesale |
1,048 |
1,114 |
Real |
105 |
80 |
Others |
−43 |
−86 |
Consolidation |
−5 |
−1 |
1,106 |
1,106 |
[What comes next are crystal structures, not part of the article]
1.
Entry from the Alexandria database: ZrAgHPd2 after structural relaxation (GGA-PBE).

CIF file:
```
data_ZrAgHPd2
_chemical_formula_sum 'Zr1 Ag1 H1 Pd2'
_space_group_name_H-M_alt 'P 4/m m m'
_space_group_IT_number 123
_space_group_name_Hall '-P 4 2'
_cell_length_a 4.185
_cell_length_b 4.185
_cell_length_c 4.134
_cell_angle_alpha 90.00
_cell_angle_beta 90.00
_cell_angle_gamma 90.00
loop_
_atom_site_label
_atom_site_type_symbol
_atom_site_fract_x
_atom_site_fract_y
_atom_site_fract_z
Zr1 Zr 0.000 0.000 0.000
Ag1 Ag 0.500 0.500 0.000
H1 H 0.000 0.000 0.500
Pd1 Pd 0.000 0.500 0.500
```

---

2.
Entry from the Alexandria database: PmAgH2 after structural relaxation (GGA-PBE).

CIF file:
```
data_PmAgH2
_chemical_formula_sum 'Pm1 Ag1 H2'
_space_group_name_H-M_alt 'P 4/m m m'
_space_group_IT_number 123
_space_group_name_Hall '-P 4 2'
_cell_length_a 3.070
_cell_length_b 3.070
_cell_length_c 6.593
_cell_angle_alpha 90.00
_cell_angle_beta 90.00
_cell_angle_gamma 90.00
loop_
_atom_site_label
_atom_site_type_symbol
_atom_site_fract_x
_atom_site_fract_y
_atom_site_fract_z
Pm1 Pm 0.000 0.000 0.000
Ag1 Ag 0.000 0.000 0.500
H1 H 0.500 0.500 0.155
```

---

Record-wise DFT total energy values, in eV per cell: -26.4; -14.0

* * * * *

# NiTeO2 (GGA+U, optimized geometry)
# D(E_F): 0.3585 states/eV per atom
# calculated volume: 185 Å³/cell
# total magnetic moment: 0.000 μB per cell
# calculated total energy: -48.258 eV per cell
data_NiTeO2
_chemical_formula_sum 'Ni3 Te3 O6'
_cell_length_a 3.7016
_cell_length_b 3.7016
_cell_length_c 15.6241
_cell_angle_alpha 90.00
_cell_angle_beta 90.00
_cell_angle_gamma 120.00
_symmetry_space_group_name_H-M 'R -3 m'
_symmetry_Int_Tables_number 166
_symmetry_space_group_name_Hall '-R 3 2"'
loop_
_atom_site_label
_atom_site_type_symbol
_atom_site_fract_x
_atom_site_fract_y
_atom_site_fract_z
Ni1 Ni 0.0000 0.0000 0.0000
Te1 Te 0.0000 0.0000 0.5000
O1 O 0.0000 0.0000 0.1162

* * * * *

# HoTl2Ir3O12 (GGA-PBE, optimized geometry)
# **ΔE_f (raw)**: -945 meV per atom
# **Total magnetic moment**: 0.00 μB per atom
# **Electronic total energy**: -6.245 eV per atom
data_HoTl2Ir3O12
_chemical_formula_sum 'Ho3 Tl6 Ir9 O36'
_symmetry_space_group_name_H-M 'R -3 m'
_symmetry_Int_Tables_number 166
_symmetry_space_group_name_Hall '-R 3 2"'
_cell_length_a 7.3837
_cell_length_b 7.3837
_cell_length_c 15.2574
_cell_angle_alpha 90.00
_cell_angle_beta 90.00
_cell_angle_gamma 120.00
loop_
_atom_site_label
_atom_site_fract_x
_atom_site_fract_y
_atom_site_fract_z
Ho1 0.0000 0.0000 0.0000
Tl1 0.0000 0.0000 0.3873
Ir1 0.0000 0.5000 0.5000
O1 0.0226 0.5113 0.3759
O2 0.0703 0.5351 0.8197

# YHoIrO6 (GGA-PBE, optimized geometry)
# **ΔE_f (raw)**: -2207 meV per atom
# **Total magnetic moment**: 0.31 μB per atom
# **Electronic total energy**: -7.724 eV per atom
data_YHoIrO6
_chemical_formula_sum 'Y2 Ho2 Ir2 O12'
_symmetry_space_group_name_H-M 'P -3 1 c'
_symmetry_Int_Tables_number 163
_symmetry_space_group_name_Hall '-P 3 2c'
_cell_length_a 5.4757
[Here the article continues]
Sales and earnings development of the segments
METRO Wholesale (previously METRO Cash & Carry)
METRO Cash & Carry launched the New Operating Model in financial year 2015/16 to improve its business management. As part of the introduction of the New Operating Model, the METRO Cash & Carry countries were classified into the clusters HoReCa, Multispecialist, Trader and Others.
Supported by positive currency effects among other factors, METRO Wholesale’s reported sales for financial year 2016/17 increased by 3.0% to €29.9 billion. Since its acquisition in February 2017, Pro à Pro also contributed to the overall sales revenue with approximately €470 million. The company is one of the leading food service distribution providers (FSD) in France. Sales rose by 2.3% in local currency. Like-for-like sales increased by 0.9%. Like-for-like sales increased in all quarters and have now risen in every quarter for 4 years in a row.
The delivery business of METRO Wholesale continued to develop highly dynamically. Sales in financial year 2016/17 rose by more than 25% to more than €4.6 billion. The share of sales attributable to the delivery business for the entire year amounts to 15.6%. The acquisition of Pro à Pro has also contributed to this.
Sales of METRO wholesale 2016/17
by clusters

Reported sales in the HoReCa cluster rose by 3.1% in financial year 2016/17. Sales rose by 4.5% in local currency. Like-for-like sales increased slightly by 0.3%. Especially Turkey contributed to the growth in like-for-like sales, while Germany recorded a decline.
In the Multispecialist cluster, sales increased by 3.7% in financial year 2016/17. Sales rose by 0.5% in local currency. Like-for-like sales slightly increased by 0.5%. Russia and the Netherlands recorded declining sales, in particular, while China, Pakistan and India achieved significant increases.
In the Trader cluster, sales increased by 3.3% in financial year 2016/17. Measured in local currency, sales in the Trader cluster rose by 3.9%. Sales rose by as much as 5.5% like-for-like. With the exception of Poland, like-for-like sales climbed in all countries.
EBIT before special items amounted to €1,114 million (2015/16: €1,048 million), supported by positive currency effects amounting to €37 million. Adjusted for these effects, EBIT before special items improved by €29 million. This particularly includes 2 real estate transactions in China, which contributed approximately €80 million (Q2) and €30 million (Q4) to the result. In the previous year, material real estate transactions only accounted for €34 million. Before these real estate transactions and currency effects, EBIT before special items amounted to €47 million less than the previous year. This decline is in particular attributable to developments in Russia, the Netherlands and Belgium, which could not be offset by earnings improvements in most of the other METRO Cash & Carry companies.
EBIT at METRO Wholesale totalled €1,035 million in financial year 2016/17 (2015/16: €1,271 million). This decrease was due in particular to income from the sale of the activities in Vietnam during the previous year (€446 million). Adjusted for the one-time income gained from the Vietnamese sale in the previous year, the special items are considerably below the previous year’s level due to fewer restructuring activities.
On 30 September 2017, METRO Wholesale operated 759 stores located in 25 countries. Of these stores, 104 were in Germany, 239 in Western Europe (excluding Germany), 283 in Eastern Europe and 133 in Asia. Additional countries were covered by the activities of Classic Fine Foods and Rungis Express. Overall, METRO Wholesale has operations in 35 countries.
Change in % compared with the previous year’s period |
2015/16 |
2016/17 |
in group currency (€) |
Currency effects in percentage points1 |
in local currency |
Like-for-like sales in local currency |
Sales |
29,000 |
29,866 |
3.0 |
0.7 |
2.3 |
0.9 |
HoReCa |
13,993 |
14,429 |
3.1 |
−1.4 |
4.5 |
0.3 |
Multispecialist |
12,066 |
12,518 |
3.7 |
3.3 |
0.5 |
0.5 |
Trader |
2,802 |
2,895 |
3.3 |
−0.5 |
3.9 |
5.5 |
Others |
138 |
23 |
– |
– |
– |
– |
1,048 |
1,114 |
– |
/*
No. 1
## K3LaTi (PBE-GGA)

Data for a geometry-optimized K3LaTi structure.

Computed properties:
Final energy (eV per atom): -1.5996
Density (g cm⁻³): 1.625
E_form (kJ per mole of atoms): 156.6

Cell: 6.7736 6.7736 6.7736 Å, 90.00 90.00 90.00°
Space group Pm-3m (No. 221)
Asymmetric unit:
K 0.0000 0.0000 0.5000
La 0.0000 0.0000 0.0000
Ti 0.5000 0.5000 0.5000

No. 2
## K2LaTi (PBE-GGA)

Data for a geometry-optimized K2LaTi structure.

Computed properties:
Final energy (eV per atom): -2.8688
Density (g cm⁻³): 2.789
E_form (kJ per mole of atoms): 85.4

Cell: 4.6950 4.6950 28.6245 Å, 90.00 90.00 90.00°
Space group I-42d (No. 122)
Asymmetric unit:
K 0.2393 0.2500 0.1250
La 0.0000 0.0000 0.5000
Ti 0.0000 0.0000 0.0000

No. 3
## KLa4Tl (PBE-GGA)

Data for a geometry-optimized KLa4Tl structure.

Computed properties:
Final energy (eV per atom): -3.5746
Density (g cm⁻³): 5.909
E_form (kJ per mole of atoms): 27.7

Cell: 9.6484 9.6484 9.6484 Å, 90.00 90.00 90.00°
Space group F-43m (No. 216)
Asymmetric unit:
K 0.0000 0.0000 0.0000
La 0.1199 0.1199 0.6199
Tl 0.2500 0.2500 0.2500

No. 4
## KLaTl2 (PBE-GGA)

Data for a geometry-optimized KLaTl2 structure.

Computed properties:
Final energy (eV per atom): -2.6839
Density (g cm⁻³): 6.577
E_form (kJ per mole of atoms): 0.5

Cell: 4.3559 4.3559 7.8084 Å, 90.00 90.00 90.00°
Space group P4mm (No. 99)
Asymmetric unit:
K 0.0000 0.0000 0.0000
La 0.5000 0.5000 0.3561
Tl 0.0000 0.0000 0.5295
Tl 0.5000 0.5000 0.7718

No. 5
## KLaTl2 (PBE-GGA)

Data for a geometry-optimized KLaTl2 structure.

Computed properties:
Final energy (eV per atom): -2.7239
Density (g cm⁻³): 6.593
E_form (kJ per mole of atoms): -3.3

Cell: 3.7677 3.7677 10.4106 Å, 90.00 90.00 90.00°
Space group P4mm (No. 99)
Asymmetric unit:
K 0.0000 0.0000 0.0000
La 0.5000 0.5000 0.3531
Tl 0.0000 0.0000 0.5508
Tl 0.5000 0.5000 0.7452

No. 6
## KLaTl3 (PBE-GGA)

Data for a geometry-optimized KLaTl3 structure.

Computed properties:
Final energy (eV per atom): -2.3930
Density (g cm⁻³): 5.452
E_form (kJ per mole of atoms): 22.4

Cell: 6.2226 6.2226 6.2226 Å, 90.00 90.00 90.00°
Space group Pm-3m (No. 221)
Asymmetric unit:
K 0.0000 0.0000 0.0000
La 0.5000 0.5000 0.5000
Tl 0.0000 0.5000 0.5000

No. 7
## KLaTl3 (PBE-GGA)

Data for a geometry-optimized KLaTl3 structure.

Computed properties:
Final energy (eV per atom): -2.1275
Density (g cm⁻³): 6.842
E_form (kJ per mole of atoms): 48.0

Cell: 5.7692 5.7692 5.7692 Å, 90.00 90.00 90.00°
Space group Pm-3m (No. 221)
Asymmetric unit:
K 0.0000 0.0000 0.0000
La 0.5000 0.5000 0.5000
Tl 0.0000 0.0000 0.5000

No. 8
## KLaTl2 (PBE-GGA)

Data for a geometry-optimized KLaTl2 structure.

Computed properties:
Final energy (eV per atom): -2.9269
Density (g cm⁻³): 6.928
E_form (kJ per mole of atoms): -22.9

Cell: 4.0160 4.0160 8.7196 Å, 90.00 90.00 90.00°
Space group P4/mmm (No. 123)
Asymmetric unit:
K 0.0000 0.0000 0.0000
La 0.0000 0.0000 0.5000
Tl 0.5000 0.5000 0.2853

No. 9
## K3LaTl (PBE-GGA)
*/
– |
– |
– |
EBIT margin (%)3 |
3.6 |
3.7 |
– |
– |
– |
– |
Locations (number) |
752 |
759 |
– |
– |
– |
– |
Selling space (1,000 m2) |
5,380 |
5,307 |
– |
– |
– |
– |
Compared to the previous year, Real’s reported sales declined by 3.1% to €7.2 billion in financial year 2016/17. This was particularly due store disposals. Like-for-like sales decreased by 1.0%. After a difficult first half of the year, the sales trend stabilised over the further course of the financial year: following growth in the 3rd quarter, like-for-like sales increased by 0.6% in the 4th quarter.
Online sales continued to develop very positively. Again, it rose markedly by more than 50% to €105 million in financial year 2016/17. This positive development was driven by the integration of the acquired online shop Hitmeister.
EBIT before special items decreased from €105 million to €80 million. This is due to a decline in sales and increased expenses for advertising and the expansion of the online business. In many food categories, the development was influenced by continuing high competition, while lower personnel costs had the opposite effect.
In financial year 2016/17, EBIT totalled €19 million (2015/16: €108 million). This decline is primarily attributable to expenses incurred by the restructuring of the headquarters.
In financial year 2016/17, Real’s German store network was reduced by 3 to 282 stores.
Change in % compared with the previous year’s period |
2015/16 |
2016/17 |
in group currency (€) |
Currency effects in percentage points |
in local currency |
Like-for-like sales in local currency |
Sales |
7,478 |
7,247 |
−3.1 |
0.0 |
−3.1 |
−1.0 |
Germany |
7,478 |
7,247 |
−3.1 |
0.0 |
−3.1 |
−1.0 |
105 |
80 |
– |
– |
– |
– |
EBIT margin (%)2 |
1.4 |
1.1 |
– |
– |
– |
– |
Locations (number) |
285 |
282 |
– |
– |
– |
– |
Selling space (1,000 m2) |
1,967 |
1,941 |
– |
– |
– |
– |
The Others segment comprises, among others, METRO AG as the management holding company of METRO group the procurement organisation in Hong Kong, which also operates on behalf of third parties, as well as logistics services and real estate activities of METRO PROPERTIES, which are not attributed to any sales lines. These include, for example, speciality stores, warehouses and head offices.
In financial year 2016/17, sales in the Others segment totalled €27 million (2015/16: €72 million). The decline can primarily be attributed to the disposal of 4 Real stores in Romania. Among other things, sales include commissions for third-party business through METRO’s procurement organisation in Hong Kong.
EBIT totalled €−201 million in financial year 2016/17 (2015/16: €−156 million). Special items amounted to €115 million (2015/16: €112 million) and primarily related to one-time expenses in connection with the demerger of METRO GROUP. EBIT before special items amounted to €−86 million (2015/16: €−43 million). This development was driven by lower real estate income (€60 million less).
Since financial year 2015/16, the Trader cluster comprises the METRO Cash & Carry countries Moldova, Poland, Romania and Ukraine. The HoReCa, Multispecialist and Trader clusters replace the previous reporting regions of Germany, Western Europe, Eastern Europe and Asia.